== Entries ==
┌──
12
Lattice="9.637 0.000 0.000 0.000 3.935 0.000 0.000 0.000 7.487" Properties=species:S:1:pos:R:3 comment="MoCl2O3 | the Materials Project | GGA+U | relaxed" e_above_lowest_polymorph_mev_per_atom=0.0 sg="Pmn2_1, No. 31" pbc="T T T"
Mo 0.000 0.710 0.000
Mo 4.819 3.225 3.743
Cl 2.244 1.041 0.595
Cl 2.575 2.894 4.338
Cl 7.062 2.894 4.338
Cl 7.394 1.041 0.595
O 0.000 0.897 5.788
O 0.000 1.058 2.180
O 0.000 2.869 0.244
O 4.819 1.066 3.987
O 4.819 2.877 5.924
O 4.819 3.038 2.045



40
Lattice="6.727 0.000 0.000 0.000 13.858 0.000 -2.725 0.000 12.542" Properties=species:S:1:pos:R:3 comment="MoPCl6O2 | the Materials Project | GGA+U | relaxed" sg="P2_1/c, No. 14" pbc="T T T"
Mo 0.449 1.822 0.284
Mo -0.913 5.107 6.555
Mo 4.915 8.750 5.987
Mo 3.552 12.036 12.258
P 1.896 0.452 3.459
P 0.533 6.477 9.730
P 3.468 7.380 2.812
P 2.106 13.406 9.083
Cl -0.294 3.294 1.954
Cl -1.657 3.635 8.225
Cl 0.028 7.128 5.376
Cl -1.334 13.658 11.647
Cl 0.408 0.501 4.791
Cl -0.955 6.427 11.062
Cl 2.539 2.851 0.104
Cl 1.177 4.078 6.375
Cl 2.164 8.756 2.211
Cl 0.801 12.030 8.482
Cl 1.210 1.297 8.812
Cl 2.573 5.632 2.541
Cl 1.429 8.226 10.001
Cl 2.792 12.561 3.730
Cl 3.201 1.827 4.060
Cl 1.838 5.102 10.331
Cl 2.825 9.780 6.167
Cl 1.462 11.007 12.438
Cl 4.956 7.430 1.480
Cl 3.593 13.356 7.751
Cl 5.336 0.199 0.895
Cl 3.973 6.730 7.166
Cl 5.658 10.223 4.317
Cl 4.296 10.564 10.588
O -1.012 9.384 7.340
O 0.351 11.403 1.069
O 1.431 0.647 2.066
O 0.069 6.281 8.337
O 3.933 7.576 4.205
O 2.570 13.210 10.476
O 3.651 2.455 11.473
O 5.013 4.474 5.202



44
Lattice="17.239 0.000 0.000 0.000 8.421 0.000 0.000 0.000 9.302" Properties=species:S:1:pos:R:3 comment="MoPCl8O | the Materials Project | GGA+U | relaxed" sg="Pnma, No. 62" pbc="T T T"
Mo 2.534 2.105 0.726
Mo 6.085 6.316 5.377
Mo 11.153 2.105 3.925
Mo 14.705 6.316 8.576
P 1.313 2.105 6.687
P 7.307 6.316 2.036
P 9.932 2.105 7.266
P 15.926 6.316 2.615
Cl 0.535 6.316 3.334
Cl 0.556 2.105 2.002
Cl 2.215 0.519 5.911
Cl 2.215 3.692 5.911
Cl 2.387 4.394 0.466
Cl 2.387 8.238 0.466
Cl 3.812 2.105 2.628
Cl 4.117 6.316 4.029
Cl 4.503 2.105 8.681
Cl 4.807 6.316 7.280
Cl 6.233 0.183 5.117
Cl 6.233 4.028 5.117
Cl 6.405 4.729 1.260
Cl 6.405 7.903 1.260
Cl 8.064 6.316 6.653
Cl 8.084 2.105 7.985
Cl 9.155 6.316 1.317
Cl 9.175 2.105 2.649
Cl 10.834 0.519 8.042
Cl 10.834 3.692 8.042
Cl 11.006 4.394 4.185
Cl 11.006 8.238 4.185
Cl 12.432 2.105 2.023
Cl 12.736 6.316 0.622
Cl 13.122 2.105 5.273
Cl 13.427 6.316 6.674
Cl 14.852 0.183 8.836
Cl 14.852 4.028 8.836
Cl 15.024 4.729 3.391
Cl 15.024 7.903 3.391
Cl 16.683 6.316 7.300
Cl 16.704 2.105 5.968
O 1.283 2.105 8.180
O 7.336 6.316 3.529
O 9.903 2.105 5.774
O 15.956 6.316 1.123



18
Lattice="6.574 0.000 0.000 0.000 6.574 0.000 0.000 0.000 7.638" Properties=species:S:1:pos:R:3 comment="RbMoPClO5 | the Materials Project | GGA+U | relaxed" sg="P4/nmm, No. 129" pbc="T T T"
Rb 1.643 4.930 0.000
Rb 4.930 1.643 0.000
Mo 1.643 1.643 3.126
Mo 4.930 4.930 4.512
P 1.643 4.930 3.819
P 4.930 1.643 3.819
Cl 1.643 1.643 0.515
Cl 4.930 4.930 7.123
O 0.415 4.930 4.764
O 1.643 1.643 4.828
O 1.643 3.702 2.873
O 1.643 6.159 2.873
O 2.872 4.930 4.764
O 3.702 1.643 2.873
O 4.930 0.415 4.764
O 4.930 2.872 4.764
O 4.930 4.930 2.810
O 6.159 1.643 2.873



22
Lattice="2.843 -6.681 0.000 2.843 6.681 0.000 0.000 0.000 11.215" Properties=species:S:1:pos:R:3 comment="MoPb3Cl2O5 | the Materials Project | GGA+U | relaxed" sg="Cmcm, No. 63" pbc="T T T"
Mo 2.843 3.552 8.411
Mo 2.843 -3.552 2.804
Pb 2.843 5.323 2.804
Pb 2.843 2.039 0.351
Pb 2.843 2.039 5.257
Pb 2.843 -2.039 5.958
Pb 2.843 -2.039 10.865
Pb 2.843 -5.323 8.411
Cl 0.000 0.000 0.000
Cl 0.000 0.000 5.608
Cl 2.843 0.294 8.411
Cl 2.843 -0.294 2.804
O 1.515 3.066 7.072
O 1.515 3.066 9.751
O 2.843 5.276 8.411
O 1.515 -3.066 1.465
O 1.515 -3.066 4.143
O 4.171 3.066 7.072
O 4.171 3.066 9.751
O 2.843 -5.276 2.804
O 4.171 -3.066 1.465
O 4.171 -3.066 4.143



56
└──
== Job ==
Now type out the notes above from the line with "1.313 2.105" to the end unchanged.
== Solution ==
P 1.313 2.105 6.687
P 7.307 6.316 2.036
P 9.932 2.105 7.266
P 15.926 6.316 2.615
Cl 0.535 6.316 3.334
Cl 0.556 2.105 2.002
Cl 2.215 0.519 5.911
Cl 2.215 3.692 5.911
Cl 2.387 4.394 0.466
Cl 2.387 8.238 0.466
Cl 3.812 2.105 2.628
Cl 4.117 6.316 4.029
Cl 4.503 2.105 8.681
Cl 4.807 6.316 7.280
Cl 6.233 0.183 5.117
Cl 6.233 4.028 5.117
Cl 6.405 4.729 1.260
Cl 6.405 7.903 1.260
Cl 8.064 6.316 6.653
Cl 8.084 2.105 7.985
Cl 9.155 6.316 1.317
Cl 9.175 2.105 2.649
Cl 10.834 0.519 8.042
Cl 10.834 3.692 8.042
Cl 11.006 4.394 4.185
Cl 11.006 8.238 4.185
Cl 12.432 2.105 2.023
Cl 12.736 6.316 0.622
Cl 13.122 2.105 5.273
Cl 13.427 6.316 6.674
Cl 14.852 0.183 8.836
Cl 14.852 4.028 8.836
Cl 15.024 4.729 3.391
Cl 15.024 7.903 3.391
Cl 16.683 6.316 7.300
Cl 16.704 2.105 5.968
O 1.283 2.105 8.180
O 7.336 6.316 3.529
O 9.903 2.105 5.774
O 15.956 6.316 1.123



18
Lattice="6.574 0.000 0.000 0.000 6.574 0.000 0.000 0.000 7.638" Properties=species:S:1:pos:R:3 comment="RbMoPClO5 | the Materials Project | GGA+U | relaxed" sg="P4/nmm, No. 129" pbc="T T T"
Rb 1.643 4.930 0.000
Rb 4.930 1.643 0.000
Mo 1.643 1.643 3.126
Mo 4.930 4.930 4.512
P 1.643 4.930 3.819
P 4.930 1.643 3.819
Cl 1.643 1.643 0.515
Cl 4.930 4.930 7.123
O 0.415 4.930 4.764
O 1.643 1.643 4.828
O 1.643 3.702 2.873
O 1.643 6.159 2.873
O 2.872 4.930 4.764
O 3.702 1.643 2.873
O 4.930 0.415 4.764
O 4.930 2.872 4.764
O 4.930 4.930 2.810
O 6.159 1.643 2.873



22
Lattice="2.843 -6.681 0.000 2.843 6.681 0.000 0.000 0.000 11.215" Properties=species:S:1:pos:R:3 comment="MoPb3Cl2O5 | the Materials Project | GGA+U | relaxed" sg="Cmcm, No. 63" pbc="T T T"
Mo 2.843 3.552 8.411
Mo 2.843 -3.552 2.804
Pb 2.843 5.323 2.804
Pb 2.843 2.039 0.351
Pb 2.843 2.039 5.257
Pb 2.843 -2.039 5.958
Pb 2.843 -2.039 10.865
Pb 2.843 -5.323 8.411
Cl 0.000 0.000 0.000
Cl 0.000 0.000 5.608
Cl 2.843 0.294 8.411
Cl 2.843 -0.294 2.804
O 1.515 3.066 7.072
O 1.515 3.066 9.751
O 2.843 5.276 8.411
O 1.515 -3.066 1.465
O 1.515 -3.066 4.143
O 4.171 3.066 7.072
O 4.171 3.066 9.751
O 2.843 -5.276 2.804
O 4.171 -3.066 1.465
O 4.171 -3.066 4.143



56